As you can clearly see, dear reader, I am at my wits end when it comes to keeping my weeds at bay. I have an extremely strict rule that not a drop of any chemicals shall ever be added anywhere on my property. As a result, I have to get somewhat creative when it comes to dealing with pests and weeds.
It’s all worth the efforts mind you. Knowing that I can maintain a safe environment using older and more natural methods, all while protecting my pets and loved ones from becoming a tumor-ridden cancer cesspool, gives me great comfort and pride.
That said, there are some inherent issues with living the granola-crunching-hacky-sacking organic life. Weeds are most definitely one of these issues. Another would be hacky-sack injuries but that’s a different post. My worst enemy in the weeds department is the dreaded Spotted Spurge (or Euphorbia Maculata).

• Attached: quantum chemistry results:
********
No. 1
# C26H71BN13O7P5

4 unconnected molecules or ions with the total composition C26H71BN13O7P5 at a distorted geometry (wB97M-V/def2-TZVPD, OMol25).

Geometry as ORCA input:
```
! RIJCOSX wB97M-V def2-TZVPD def2/J DEFGRID3
* xyz 0 1
C 3.77 -2.53 3.51
C 4.28 -1.03 3.71
C 3.65 0.12 2.81
C 4.91 0.91 2.10
C 2.56 -0.27 1.72
N 3.03 -1.26 0.67
C 2.30 1.10 0.85
N 2.27 2.12 0.19
C 1.09 -0.67 2.30
C 0.97 -0.63 3.89
N 1.09 -0.88 5.08
P -0.21 0.61 1.67
P -2.15 0.28 2.64
O -2.18 -0.96 3.55
O -3.43 0.11 1.50
O -2.53 1.70 3.56
B 0.68 -2.10 1.62
N 0.08 -2.14 0.22
O 0.87 -3.42 2.23
H 2.70 -2.74 3.91
H 3.85 -2.96 2.46
H 4.45 -3.20 4.17
H 5.44 -1.05 3.61
H 4.10 -0.75 4.83
H 3.20 0.92 3.53
H 5.31 0.28 1.22
H 4.67 2.00 1.85
H 5.77 0.94 2.88
H 4.02 -1.43 0.95
H 3.12 -0.77 -0.24
H -0.44 0.44 0.26
H -4.04 -0.54 1.94
H -2.90 1.44 4.44
H 0.82 -2.28 -0.49
H -0.63 -2.89 0.18
H 0.18 -3.45 2.93
C -1.58 5.50 6.01
N -1.22 6.74 5.34
C -1.17 7.80 6.35
P 0.13 6.82 4.27
O 1.11 6.28 5.32
N 0.24 5.48 3.22
C -0.80 4.48 3.00
C 1.55 4.85 3.09
N -0.97 7.49 3.03
C -0.36 8.67 2.40
C -2.40 7.72 3.19
H -2.45 5.65 6.67
H -0.77 5.08 6.61
H -1.92 4.75 5.30
H -0.94 8.77 5.88
H -0.40 7.61 7.11
H -2.13 7.92 6.85
H -0.77 3.70 3.77
H -0.67 4.00 2.03
H -1.80 4.92 2.98
H 1.75 4.16 3.92
H 2.34 5.61 3.07
H 1.63 4.29 2.15
H -0.37 9.53 3.08
H -0.88 8.94 1.47
H 0.68 8.46 2.12
H -2.62 8.54 3.89
H -2.93 6.82 3.51
H -2.85 7.99 2.22
C 5.07 -3.61 -4.39
N 3.75 -3.20 -4.85
C 2.80 -4.27 -4.54
P 3.11 -1.64 -4.46
O 3.29 -1.86 -2.94
N 4.26 -0.39 -4.59
C 5.56 -0.49 -5.22
C 4.33 0.56 -3.48
N 2.85 -1.37 -6.21
C 1.51 -0.84 -6.45
C 3.20 -2.30 -7.28
H 5.29 -4.63 -4.72
H 5.17 -3.57 -3.30
H 5.86 -3.00 -4.84
H 1.80 -4.02 -4.91
H 2.72 -4.44 -3.46
H 3.09 -5.20 -5.02
H 6.31 -0.90 -4.53
H 5.91 0.50 -5.54
H 5.55 -1.10 -6.13
H 4.93 0.17 -2.65
H 3.33 0.79 -3.11
H 4.76 1.51 -3.80
H 0.75 -1.62 -6.31
H 1.41 -0.43 -7.45
H 1.29 -0.03 -5.75
H 2.57 -3.19 -7.28
H 4.24 -2.61 -7.24
H 3.08 -1.81 -8.25
C -5.99 -4.83 0.16
N -5.62 -3.58 -0.50
C -5.58 -2.53 0.52
P -4.27 -3.50 -1.56
O -3.29 -4.04 -0.50
N -4.14 -4.83 -2.61
C -5.17 -5.83 -2.85
C -2.83 -5.45 -2.74
N -5.36 -2.82 -2.80
C -4.74 -1.64 -3.42
C -6.79 -2.59 -2.66
H -6.86 -4.68 0.81
H -5.18 -5.25 0.77
H -6.31 -5.58 -0.56
H -5.35 -1.56 0.05
H -4.82 -2.73 1.28
H -6.55 -2.42 1.01
H -5.15 -6.62 -2.09
H -5.02 -6.30 -3.82
H -6.17 -5.40 -2.88
H -2.63 -6.15 -1.91
H -2.04 -4.69 -2.74
H -2.73 -6.00 -3.68
H -4.76 -0.78 -2.74
H -5.26 -1.36 -4.35
H -3.70 -1.84 -3.69
H -7.02 -1.79 -1.96
H -7.32 -3.50 -2.34
H -7.23 -2.33 -3.63
*
```

As for the orbital gap: 6.6 eV. The value obtained for the highest occupied orbital energy is -7.7 eV. The value obtained for the molecular weight is 843.62 g mol⁻¹. The SMILES is CC[C@@H](C)[C@](N)(C#N)[C@@](C#N)(PP(=O)(O)O)B(N)O.CN(C)P(=O)(N(C)C)N(C)C.CN(C)P(=O)(N(C)C)N(C)C.CN(C)P(=O)(N(C)C)N(C)C.

---

No. 2
# C26H71N6O8V

A molecular structure, C26H71N6O8V at a distorted geometry (wB97M-V/def2-TZVPD, OMol25).

Geometry as ORCA input:
```
********
• End of the quantum chemistry results:

I cannot begin to emphasize how much I loathe this plant. It’s sticky white sap that never washes off is one of the worst ever and it seems to grow everywhere in the yard. As soon as it pokes out it’s evil tendrils from the earth it begins dropping seeds. The more spurge you pull, the more seeds are dispersed. THE most invasive species of weed I’ve ever encountered in my long life. Well, this and crabgrass of course. Don’t even get me started on crabgrass!
I’ve made some mistakes in the past when dealing with weeds. Like when I created some lovely gravel pathways only to have to redo them all. I’ve also spend a great deal of man hours creating a kick-ass flagstone patio, also the wrong way when it comes to weed control.
No matter what I’ve tried, the weeds seem to always come back even stronger. It always begins small and benign. Tiny adorable sprouts of promise that trick me into thinking that this year will be better.

# Unrelated to this entry: molecular data
Entry 1:
11
Properties=species:S:1:pos:R:3 method="wB97M-V/def2-TZVPD" orbital_gap_ev=9.239 homo_energy_ev=-8.2601 energy_ev=-7659.754 multiplicity=1 lumo_ev=0.979 total_charge=0
N -2.1187 -0.0323 -0.1862
C -0.7669 0.0235 0.1921
C 0.2859 1.1140 -0.0271
N 1.5001 0.7118 0.0051
N 1.3459 -0.6309 -0.1175
C 0.1294 -1.0347 0.0649
H -2.4248 0.8874 -0.0988
H -2.5437 -0.6115 0.7141
H -0.0535 2.0780 0.0839
H 2.1027 -1.1584 0.3485
H -0.0621 -2.1530 -0.3363

***

Entry 2:
10
Properties=species:S:1:pos:R:3 method="wB97M-V/def2-TZVPD" orbital_gap_ev=9.375 homo_energy_ev=-8.8668 energy_ev=-16526.001 multiplicity=1 lumo_ev=0.508 total_charge=0
C -1.0574 0.1306 -1.1815
C 0.4069 0.0368 -0.3928
O 1.4165 -0.2182 -0.9188
N 0.2399 0.2414 1.0277
S 1.3535 0.1425 2.3072
H -0.4481 -0.1992 -2.2193
H -1.8050 -0.6737 -0.9416
H -1.3844 1.2097 -0.9734
H -0.7141 0.5475 1.4124
H 1.9922 -1.2174 1.8802

***

Entry 3:
47
Properties=species:S:1:pos:R:3 method="wB97M-V/def2-TZVPD" orbital_gap_ev=11.138 homo_energy_ev=-10.7869 energy_ev=-151942.544 multiplicity=1 lumo_ev=0.351 total_charge=0
O 0.9220 0.8556 -4.9551
C 1.6867 0.1919 -4.3637
O 2.9715 -0.0318 -4.7184
C 3.5236 -1.0229 -3.8559
C 2.5627 -1.0380 -2.6835
F 2.9991 -0.1888 -1.6973
O 1.3869 -0.5140 -3.2293
H 3.5786 -1.9876 -4.3620
H 4.5297 -0.7419 -3.5494
H 2.3264 -1.9934 -2.2269
C -1.6083 -1.1757 -1.2777
O -1.2188 -0.1336 -0.3800
C 0.0455 -0.1854 0.0315
O 0.8055 -1.1017 -0.1482
O 0.3058 0.9352 0.7021
C 1.6581 1.1441 1.0823
H -1.1189 -1.0440 -2.2417
H -2.6842 -1.0804 -1.4126
H -1.3877 -2.1593 -0.8679
H 1.7810 0.8755 2.1314
H 1.8408 2.2179 1.0022
H 2.3477 0.6345 0.4210
Cl 2.4493 -3.8738 2.2111
C 1.7518 -2.3058 2.6126
Cl 1.4412 -2.1444 4.3643
H 2.4735 -1.5449 2.3526
H 0.8169 -2.1720 2.0909
Cl -3.7054 1.9353 3.3839
C -2.3746 1.2519 2.4355
Cl -1.8962 -0.3394 3.0072
H -2.7291 1.1819 1.4148
H -1.5237 1.9176 2.4901
Cl -4.9476 0.0513 -2.3936
C -5.5563 1.3115 -1.3017
Cl -5.3316 0.8936 0.4051
H -5.0104 2.2209 -1.5065
H -6.6157 1.4155 -1.4874
Cl 3.4635 6.5885 1.5439
C 3.7911 4.9487 2.0992
Cl 3.0503 4.6098 3.6538
H 3.4122 4.2516 1.3592
H 4.8636 4.8116 2.1841
Cl -1.4117 -3.7592 1.5992
C -3.1078 -3.4037 1.2143
Cl -3.6460 -4.2218 -0.2566
H -3.7087 -3.7475 2.0449
H -3.2025 -2.3335 1.0782

***

Entry 4:
117
Properties=species:S:1:pos:R:3 method="wB97M-V/def2-TZVPD" orbital_gap_ev="7.164 / 5.243" homo_energy_ev="-12.8461 / -12.8460" energy_ev=-96371.702 s_squared=0.755 multiplicity=2 lumo_ev="-5.683 / -7.603" total_charge=+2
Ta -0.8296 -0.4880 0.7476
C -2.5514 0.6714 -2.2601
C -1.5499 -0.4521 -2.4243
N -0.3889 -0.3302 -1.4868
C 0.7174 0.5029 -2.0660
C 0.4461 1.9210 -2.5429
N 0.1348 2.8374 -1.4705
C -0.1452 4.2184 -1.8707
C -1.6384 4.4907 -2.0215
C -2.4114 4.3845 -0.7095
N -2.4755 3.0141 -0.2234
C -3.3764 2.7949 0.8818
C -3.6924 1.3032 1.1357
N -3.0067 0.3037 0.2291
C -3.5699 0.4123 -1.1788
H -3.0838 0.8300 -3.2000
H -2.0417 1.6004 -2.0202
H -1.1439 -0.4822 -3.4380
H -2.0122 -1.4250 -2.2355
H 0.0546 -1.2572 -1.5265
H 1.0763 -0.0572 -2.9355

I can handle this little bit of greenery. Gives the yard some character and life doesn’t it. I’m not so anal retentive that I can’t allow for minor imperfections. After all, isn’t that what nature is about? Releasing control and realizing that in doing so you can experience true beauty?
But then it creeps in a little bit more. Usually while my back is turned.

And a little more…

And then the next thing you know…BAM!!! It’s completely taken over your yard, your life and your career. Some weeds will even go so far as to steal your girlfriend. Fact! The whole experience reminds me of the following quote:
“Apparently the vegetable kingdom in Mars, instead of having green for a dominant colour, is of a vivid blood-red tint. At any rate, the seeds which the Martians (intentionally or accidentally) brought with them gave rise in all cases to red-coloured growths. Only that known popularly as the red weed, however, gained any footing in competition with terrestrial forms. The red creeper was quite a transitory growth, and few people have seen it growing. For a time, however, the red weed grew with astonishing vigour and luxuriance. It spread up the sides of the pit by the third or fourth day of our imprisonment, and its cactus-like branches formed a carmine fringe to the edges of our triangular window. And afterwards I found it broadcast throughout the country, and especially wherever there was a stream of water.”
-H.G. Wells, The War of the Worlds

Please forgive my literary segue here. You see, when trying to photograph these weeds in full attack mode, my cell phone camera went all cray cray and somehow inverted the greens to reds. I can only assume that the weeds had released a noxious pollen-laden gas to infiltrate my technology, copy my contacts list and eventually steal my identity (surely as a way to steal my girlfriend). Just because one is paranoid does not mean that “they” aren’t out to get you!
So, being the complete and total nerd that I proudly am, I immediately thought of the above passage from The War of the Worlds and have now subjected you to my delusions.
Where was I? Oh yes, more terrestrial affairs…
The above (albeit red) photo of weeds typically occurs two to three times a year. Just to pull a small section of weeds while preserving the gravel takes hours. The below image is from about two hours of pulling.

My triannual task of Sisyphus is never ending. By the time I reach one end of the yard, I have to begin again at the other end. Weed barriers definitely help to slow the process quite a lot, but the spurge and crabgrass always make their way back eventually. The former due to it’s invasive seed dispersal system and the latter because nothing blocks crabgrass. Nothing.
So, now we are all caught up yes? And I’m sure that you are no stranger to weeds as no gardener ever is. I could take the easy way out and drop some death juice made by Monsanto, but that’s no way to live or treat the planet now is it? No, it isn’t.
Last year when I would pull a section of the spurge, I began deploying a hazmat-like methodology of sweeping up the surface dirt to capture as many teeny tiny seeds as possible. Very time consuming, but it seemed to reduce the weeds return the following season. Not stop it, mind you, just slow it down a bit. I would then throw them into my fire pit to ceremoniously destroy them utterly.
Which got me thinking. Why bring the seeds to the fire when I can bring the fire to the seeds? But how can I do this without dropping napalm on everything in the yard? I then recalled seeing some videos of farmers burning their spent crops as a way to both fertilize the soil as well as save time. They used some sort of torch to do so. To the Google machine!
After a few short searches I found my weapon of choice (admittedly overkill).
The Red Dragon VT 1/2-30 SVC 400,000 BTU propane vapor torch kit with squeeze valve!

Only in this instance, I won’t be shooting my eye out! Merely burning down my house, my neighborhood and my precious facial hair etc…
So it goes.
I can’t properly describe the immense pleasure I receive while laying waste to every weed in my yard with this mighty hot death machine. My burden of weed pulling has now become an exciting jubilant task of sheer joy coupled with maniacal rage and vengeance. I shit thee not when I say I downloaded Wagner’s Flight of the Valkyries during the first wave of attacks. Seriously, I get very involved in my projects. Much to the fear and confusion of my neighbors. So what, big deal. To oneself be true.
I’ve made this video to help you get into my same mindset and I offer you a preemptive and resounding you’re welcome! I’ve personally watched this a dozen times and it just seems to get better.
And for those not so into drama and excitement (boy are you in the wrong place!), here’s the same video as shot. Boring…
Not quite as exciting huh?
I feel like now would be a good time to responsibly warn you about the possible side effects of wielding a massive flamethrower attached to a large tank of propane gas. If you do go the route that I have laid before you, be certain to take all the proper safety precautions when dealing with explosives and open flames. Another tip would be to have a hose turned on and ready to go within four feet of the area you are working on. I also pre-soaked many of the beds that had mulch and dry organic material around the paths as a deterrent for any stray man-made wildfires. Worked like a charm, but never get too comfortable that you would forgo safety. I’m a professional though and have some leeway to jam Wagner super loud and laugh manically while dropping napalm.
Believe when I say that I know first-hand how easy it is to get caught up with the sheer awesomeness of this device. You also don’t need to burn the weeds to a cinder as I have in this video. I did it for emotional and psychological effects and to strike fear into the heart of the weeds. But you only need to sear them a bit in order to have them perish. Again, less exciting and dramatic. Gardening without drama and danger is not good gardening! My fruits and veggies have the taste of excitement and flair because all of my plants never know what to make of me and are always on edge. Second fact!
It’s also not a permanent solution*, the weeds will grow back again. Thank goodness! Now I’m excited when I see weeds. A chance to break our my Wagner and get medieval on their ass! I’ll take it! Quite the flip flop from my previous weed dread isn’t it? The weeds will reduce greatly every time you use it as the seeds will become less and less prevalent throughout the yard. A thinning of the herd if you will.
Here’s some shots a few weeks later to give you an idea as to how bad ass this flamethrower is.
Order has once again been returned to my domain. Order and fear. Just the way I like it. I’m like the Darth Vader of gardening and I find your lack of flamethrower to be disturbing. I’ll continue to lay down weed barriers and thick mulch layers as I complete my paths and definitely on the beds (fire bad on the plants you love), but having this will save me hours of labor and add an element of excitement to a once troublesome task.
*Great Gods of Gardening!! I just realized that I’ve used the words “permanent solution” and “holocaust” AND mentioned Wagner all in the same post. Purely coincidental I assure you!! I am a good gentile I promise you!